# Contents
A geometry-optimized La2TbDy7 structure, computed with PBE-GGA.

Cell and atoms, written as extended XYZ:
```
10
Lattice="3.517 0.000 0.000 0.000 14.078 -4.800 0.000 -10.635 10.399" Properties=species:S:1:pos:R:3 pbc="T T T"
Dy 1.758 5.000 2.750
Dy 1.758 0.198 5.703
Tb 0.000 0.000 0.000
Dy 0.000 9.533 -2.005
Dy 1.758 3.245 -0.104
Dy 0.000 -6.090 7.604
La 1.758 -3.374 5.933
La 1.758 6.817 -0.334
Dy 1.758 -1.556 2.849
Dy 1.758 1.722 2.799
```

Computed properties:
magnetization = 0.00 μB per atom
E above lowest polymorph = 135 meV/atom

~~~~~

1.
Density functional theory data (PBE) for crystalline SmTmFe8B2 at its relaxed geometry.

extended XYZ file:
```
12
Lattice="5.072 0.000 0.000 -2.536 4.393 0.000 0.000 0.000 7.030" Properties=species:S:1:pos:R:3 pbc="T T T"
Sm 0.000 0.000 0.000
Tm 0.000 0.000 3.515
Fe -1.268 2.196 1.516
Fe -1.268 2.196 5.514
Fe 0.000 2.928 3.515
Fe 2.536 0.000 1.516
Fe 2.536 0.000 5.514
Fe 1.268 2.196 1.516
Fe 1.268 2.196 5.514
Fe 2.536 1.464 3.515
B 0.000 2.928 0.000
B 2.536 1.464 0.000
```

Output
ΔE to the lowest computed polymorph = 15 meV/atom
Symmetry = No. 191


2.
Density functional theory data (PBE) for crystalline BaDyZn at its relaxed geometry.

extended XYZ file:
```
3
Lattice="0.000 3.781 3.781 3.781 0.000 3.781 3.781 3.781 0.000" Properties=species:S:1:pos:R:3 pbc="T T T"
Ba 0.000 0.000 0.000
Dy 3.781 3.781 3.781
Zn 1.890 1.890 1.890
```

Output
Final energy = -2.3788 eV per atom
Symmetry = No. 216


3.
Density functional theory data (PBE) for crystalline NdMg at its relaxed geometry.

extended XYZ file:
```
2
Lattice="3.486 0.000 0.000 -1.743 3.019 0.000 0.000 0.000 5.674" Properties=species:S:1:pos:R:3 pbc="T T T"
Nd 0.000 0.000 0.000
Mg 0.000 2.012 2.837
```

Output
ΔE to the lowest computed polymorph = 171 meV/atom
Symmetry = No. 187

~~~~~

{
  "formula": "BaIr2Rh",
  "functional": "PBE",
  "state": "optimized geometry",
  "lattice_angstrom": [[4.133, 0.000, 0.000], [0.000, 4.133, 0.000], [0.000, 0.000, 4.514]],
  "species": ["Rh", "Ir", "Ir", "Ba"],
  "frac_coords": [[0.500, 0.500, 0.500], [0.500, 0.000, 0.000], [0.000, 0.500, 0.000], [0.000, 0.000, 0.500]],
  "magnetic_moment_mub_per_atom": 0.000,
  "spacegroup": "P4/mmm",
  "dos_ef_per_ev_cell": 4.14,
  "e_tot_ev_per_atom": -6.008,
  "e_form_mev_per_atom": 741,
  "polymorph_energy_ev_per_atom": 0.7741
}

# Exercise
Your job: transcribe only the lines above with the word "dos_ef_per_ev_cell" in them.

# Done
  "dos_ef_per_ev_cell": 4.14,